Mutual Influence of the Manchus and the Mongols in Their Language and Culture

Tana Wu

Mutual Influence of the Manchus and the Mongols in Their Language and Culture

## Records of crystals from another source follow
'''
The following is a theoretical PXRD pattern of CaTiVP3O12. It was derived from a crystal structure in Alexandria, relaxed with GGA+U, using a wavelength of 1.5418 Å.
Lines closer than 0.1° are merged.

Largest 10 diffraction maxima, in order of rising 2θ, 10° ≤ 2θ ≤ 80°:
20.48°, I = 49, (1 1 0); 23.86°, I = 100, (1 1 3); 28.81°, I = 13, (0 2 4); 31.79°, I = 15, (2 1 1); 32.02°, I = 58, (1 1 6); 35.87°, I = 23, (3 0 0); 46.02°, I = 18, (1 2 8); 48.84°, I = 21, (2 2 6); 56.12°, I = 16, (4 1 0); 62.06°, I = 12, (4 1 6)

Structure:
```
data_CaTiVP3O12
_space_group_name_H-M_alt 'R 3 c'
_space_group_IT_number 161
_space_group_name_Hall 'R 3 -2"c'
_cell_length_a 8.6716
_cell_length_b 8.6716
_cell_length_c 21.9387
_cell_angle_alpha 90.00
_cell_angle_beta 90.00
_cell_angle_gamma 120.00
loop_
_atom_site_label
_atom_site_type_symbol
_atom_site_fract_x
_atom_site_fract_y
_atom_site_fract_z
Ca1 Ca 0.0000 0.0000 0.0000
Ti1 Ti 0.0000 0.0000 0.3508
V1 V 0.0000 0.0000 0.1436
P1 P 0.0445 0.3752 0.4142
O1 O 0.0098 0.1995 0.6897
O2 O 0.0298 0.1887 0.4152
O3 O 0.1532 0.4734 0.4726
O4 O 0.1616 0.4779 0.7491
```

* * * * *

[1]
The following is a theoretical powder X-ray diffraction pattern of CdGa8Ag5. It was derived from a GGA-PBE-relaxed structure, using Cu Ka.
Neutral-atom scattering factors, no anomalous dispersion.

Cell and atoms:
Unit cell a=7.1948 b=7.1948 c=7.1948 alpha=103.15 beta=103.15 gamma=123.02
Element x y z (fractional)
Cd: 0.0000 0.0000 0.0000
Ga: 0.1638 0.3913 0.8941
Ga: 0.1674 0.3251 0.5088
Ga: 0.3413 0.8326 0.1577
Ga: 0.4972 0.2696 0.1059
Ga: 0.6087 0.5028 0.7725
Ga: 0.6749 0.1836 0.8423
Ga: 0.7304 0.8362 0.2275
Ga: 0.8164 0.6587 0.4912
Ag: 0.0099 0.4667 0.2452
Ag: 0.2215 0.7646 0.7548
Ag: 0.2354 0.9901 0.4568
Ag: 0.5333 0.7785 0.5432
Ag: 0.7500 0.2500 0.5000

Largest 10 diffraction maxima, low angle first, 10° ≤ 2θ ≤ 90°:
2θ (°), I_rel
25.78, 35
32.75, 100
32.90, 36
38.60, 51
38.72, 77
40.70, 38
41.37, 78
43.77, 60
45.35, 37
45.68, 58



[2]
The following is a theoretical powder X-ray diffraction pattern of CdGa2Ag3. It was derived from a GGA-PBE-relaxed structure, using Cu Ka.
Neutral-atom scattering factors, no anomalous dispersion.

Cell and atoms:
Unit cell a=4.9978 b=8.8104 c=4.9912 alpha=90.00 beta=90.00 gamma=90.00
Element x y z (fractional)
Cd: 0.2500 0.2500 0.1060
Cd: 0.7500 0.7500 0.8940
Ga: 0.2500 0.5846 0.0970
Ga: 0.2500 0.9154 0.0970
Ga: 0.7500 0.0846 0.9030
Ga: 0.7500 0.4154 0.9030
Ag: 0.2500 0.0767 0.6049
Ag: 0.2500 0.4233 0.6049
Ag: 0.2500 0.7500 0.5794
Ag: 0.7500 0.2500 0.4206
Ag: 0.7500 0.5767 0.3951
Ag: 0.7500 0.9233 0.3951

Largest 10 diffraction maxima, low angle first, 10° ≤ 2θ ≤ 90°:
2θ (°), I_rel
35.46, 37
35.94, 57
39.93, 100
40.40, 65
51.38, 24
64.36, 16
67.29, 22
67.61, 13
75.97, 19
77.86, 17



[3]
The following is a theoretical powder X-ray diffraction pattern of CdGa4Ag2. It was derived from a GGA-PBE-relaxed structure, using Cu Ka.
Neutral-atom scattering factors, no anomalous dispersion.

Cell and atoms:
'''

(63rd Annual Meeting Ulaanbaatar, 2021)

The Manchus and the Mongols shared common living environment and mode of production in history. This leads to ideological uniformity, reflected in commonalities of their language and culture: similar means of toponyms serve as a typical example to this; women played a significant role in the political lives of both Manchu and Mongolian reigns. Given strong political and cultural ties between the Manchu and Mongol people in Qing Dynasty, there occurred numerous reciprocal loanwords in Manchu and Mongolian, covering all aspects of social life and culture (mostly material and institutional). Many words relating to animal husbandry or livestock items in Manchu are loanwords from Mongolian in the process of cultural exchanges.

Whereas it is sometimes hard to distinguish cognate words from loanwords, the two languages unarguably borrow loanwords from each other to different extents in particular social contexts, progressing dynamically from Mongolian-predominant period to the interplay period of Manchu-Mongolian. In the former period, the Manchus created their script on the basis of Traditional Mongolian script and borrowed a lot of loanwords into their language system, pertaining to administrative management and military affairs, especially the religious terms, considering the Mongols’ early access to Buddhism–the relevant religious terms borrowed from Sanskrit have become part of the Mongolian lexicon since then; however, in the later period, along with the intermarriage between the Manchus and the Mongols, the Manchu language began to affect Mongolian more than before, so that some kinship terminologies gradually entered the Khorchin dialect, whose usage have remained up till now. Also, there are some commonalities in terms of word formation and morphology in modern Khalkha Mongolian and Manchu. This reveals that language changes must be analyzed in the social context, and the language contact is a product of social development and cultural exchange.

**These data records were left in the article by mistake:**
-- begin --
(1)
Structure and simulated X-ray powder pattern of Cs7K6Na (a PBE-relaxed structure; CuKα).
Kinematic intensities with the Lorentz-polarization factor, no thermal factor.

Principal peaks in the range 2θ = 10–80°, by angle:
Position (°2θ), I (rel.)
17.19, 30
21.65, 100
21.78, 33
25.09, 69
35.69, 30
35.86, 25
42.18, 45
42.34, 15

Structural model:
```
Cs7K6Na
1.0
6.6546 3.8421 8.1617
-6.6546 3.8421 8.1617
0.0000 -7.6841 8.1617
Cs K Na
7 6 1
Direct
0.0000 0.0000 0.0000
0.1507 0.5801 0.3122
0.2252 0.3873 0.9120
0.3122 0.1507 0.5801
0.3873 0.9120 0.2252
0.5801 0.3122 0.1507
0.9120 0.2252 0.3873
0.0704 0.7878 0.6529
0.4474 0.7272 0.8332
0.6529 0.0704 0.7878
0.7272 0.8332 0.4474
0.7878 0.6529 0.0704
0.8332 0.4474 0.7272
0.5196 0.5196 0.5196
```

=====

(2)
Structure and simulated X-ray powder pattern of MgGa4Bi (a PBE-relaxed structure; CuKα).
Kinematic intensities with the Lorentz-polarization factor, no thermal factor.

Principal peaks in the range 2θ = 10–80°, by angle:
Position (°2θ), I (rel.)
19.04, 24
22.01, 26
31.33, 37
36.92, 100
38.62, 31
55.77, 15
59.48, 34
65.37, 23

Structural model:
```
MgGa4Bi
1.0
0.0000 4.0376 4.0376
4.0376 0.0000 4.0376
4.0376 4.0376 0.0000
Mg Ga Bi
1 4 1
Direct
0.0000 0.0000 0.0000
0.1236 0.6255 0.6255
0.6255 0.1236 0.6255
0.6255 0.6255 0.1236
0.6255 0.6255 0.6255
0.2500 0.2500 0.2500
```

=====

(3)
Structure and simulated X-ray powder pattern of BaLiPu2O8 (a PBE-relaxed structure; CuKα).
Kinematic intensities with the Lorentz-polarization factor, no thermal factor.

Principal peaks in the range 2θ = 10–80°, by angle:
Position (°2θ), I (rel.)
16.68, 100
22.67, 79
24.64, 57
30.66, 85
30.73, 28
33.73, 36
45.23, 29
47.32, 38

Structural model:
```
BaLiPu2O8
1.0
5.3280 0.0000 0.0000
0.4373 5.3189 0.0000
0.0244 0.0224 6.9702
Ba Li Pu O
1 1 2 8
Direct
0.0000 0.0000 0.0000
0.0000 0.0000 0.5000
0.4997 0.4997 0.2581
0.5003 0.5003 0.7419
0.2386 0.7590 0.2750
0.2388 0.7592 0.7251
0.3358 0.3344 0.4989
0.3408 0.3389 0.9977
0.6592 0.6611 0.0023
0.6642 0.6656 0.5011
0.7612 0.2408 0.2749
0.7614 0.2410 0.7250
```

=====

(4)
Structure and simulated X-ray powder pattern of Rb3Mn2TlBr8 (a PBE-relaxed structure; CuKα).
Kinematic intensities with the Lorentz-polarization factor, no thermal factor.

Principal peaks in the range 2θ = 10–80°, by angle:
Position (°2θ), I (rel.)
15.33, 45
21.51, 100
26.52, 78
28.24, 80
30.03, 46
30.93, 77
43.84, 67
44.79, 34

Structural model:
```
Rb3Mn2TlBr8
1.0
8.2609 0.0000 0.0000
-4.1304 7.1541 0.0000
0.0000 0.0000 9.8157
Rb Mn Tl Br
3 2 1 8
Direct
0.0000 0.0000 0.0000
0.3333 0.6667 0.6022
0.6667 0.3333 0.3978
0.3333 0.6667 0.1857
0.6667 0.3333 0.8143
0.0000 0.0000 0.5000
0.1742 0.3484 0.2950
0.1742 0.8258 0.2950
0.3333 0.6667 0.9389
0.3484 0.1742 0.7050
0.6516 0.8258 0.2950
0.6667 0.3333 0.0611
0.8258 0.1742 0.7050
0.8258 0.6516 0.7050
```

=====

(5)
Structure and simulated X-ray powder pattern of BaIn8Pd2 (a PBE-relaxed structure; CuKα).
-- stop --

Undeniably, the Manchu language had a strong historical influence upon Mongolian culture. Its spread in the Qing Dynasty has, in a sense, promoted the development of Mongolian, seen from the compilation of Yuzhi Manzhou Menggu Hebi Wenjian (“Imperial Manchu-Mongolian Combination Document”), the earliest Mongolian dictionary in Qing Dynasty. The Mongols living in the early Qing Dynasty had an access to the Confucian classics via the Manchu script. Likewise, some Mongolian literary works are disseminated into Chinese via Manchu.